Source:
Entry 1:
# TlNiIrPt
Theoretical powder XRD pattern, λ = 1.5418 Å (Cu Kα). Input: a crystal structure in OQMD, relaxed with GGA-PBE.
Intensities are scaled so that the largest is 100.

Structural model:
```
data_TlNiIrPt
_cell_length_a 6.3451
_cell_length_b 6.3451
_cell_length_c 6.3451
_cell_angle_alpha 90.00
_cell_angle_beta 90.00
_cell_angle_gamma 90.00
_space_group_name_H-M_alt 'F -4 3 m'
_space_group_IT_number 216
_space_group_name_Hall 'F -4 2 3'
loop_
_atom_site_label
_atom_site_type_symbol
_atom_site_fract_x
_atom_site_fract_y
_atom_site_fract_z
Tl1 Tl 0.0000 0.0000 0.0000
Ni1 Ni 0.2500 0.2500 0.2500
Ir1 Ir 0.0000 0.0000 0.5000
Pt1 Pt 0.2500 0.2500 0.7500
```

Principal peaks in the range 2θ = 15–90°, by angle:
24.30°, intensity 9, hkl 1 1 1; 28.13°, intensity 5, hkl 2 0 0; 40.20°, intensity 100, hkl 2 2 0; 47.53°, intensity 5, hkl 3 1 1; 58.16°, intensity 17, hkl 4 0 0; 63.96°, intensity 2, hkl 3 3 1; 65.82°, intensity 2, hkl 4 2 0; 73.06°, intensity 35, hkl 4 2 2; 78.30°, intensity 2, hkl 5 1 1; 86.83°, intensity 11, hkl 4 4 0



Entry 2:
# LaCoGe2Au
Theoretical powder XRD pattern, λ = 1.5418 Å (Cu Kα). Input: a crystal structure in OQMD, relaxed with GGA-PBE.
Intensities are scaled so that the largest is 100.

Structural model:
```
data_LaCoGe2Au
_cell_length_a 4.2632
_cell_length_b 4.2632
_cell_length_c 10.5186
_cell_angle_alpha 90.00
_cell_angle_beta 90.00
_cell_angle_gamma 90.00
_space_group_name_H-M_alt 'I -4 m 2'
_space_group_IT_number 119
_space_group_name_Hall 'I -4 -2'
loop_
_atom_site_label
_atom_site_type_symbol
_atom_site_fract_x
_atom_site_fract_y
_atom_site_fract_z
La1 La 0.0000 0.0000 0.0000
Co1 Co 0.0000 0.5000 0.2500
Ge1 Ge 0.0000 0.0000 0.3774
Au1 Au 0.0000 0.5000 0.7500
```

Principal peaks in the range 2θ = 15–90°, by angle:
22.50°, intensity 33, hkl 1 0 1; 33.08°, intensity 51, hkl 1 0 3; 34.29°, intensity 100, hkl 1 1 2; 42.40°, intensity 52, hkl 2 0 0; 45.79°, intensity 21, hkl 1 1 4; 48.24°, intensity 19, hkl 1 0 5; 54.81°, intensity 25, hkl 2 1 3; 61.15°, intensity 17, hkl 1 1 6; 61.52°, intensity 17, hkl 2 2 0; 72.36°, intensity 23, hkl 3 1 2



Entry 3:
# LiOs3Pb5
Theoretical powder XRD pattern, λ = 1.5418 Å (Cu Kα). Input: a crystal structure in OQMD, relaxed with GGA-PBE.
Intensities are scaled so that the largest is 100.

Structural model:
```
data_LiOs3Pb5
_cell_length_a 5.5638
_cell_length_b 5.5638
_cell_length_c 8.6058
_cell_angle_alpha 90.00
_cell_angle_beta 90.00
_cell_angle_gamma 120.00
_space_group_name_H-M_alt 'P 6/m m m'
_space_group_IT_number 191
_space_group_name_Hall '-P 6 2'
loop_
_atom_site_label
_atom_site_type_symbol
_atom_site_fract_x
_atom_site_fract_y
_atom_site_fract_z
Li1 Li 0.0000 0.0000 0.0000
Os1 Os 0.0000 0.5000 0.5000
Pb1 Pb 0.0000 0.0000 0.5000
Pb2 Pb 0.3333 0.6667 0.2112
```

Principal peaks in the range 2θ = 15–90°, by angle:
18.41°, intensity 49, hkl 1 0 0; 27.80°, intensity 37, hkl 1 0 2; 31.18°, intensity 53, hkl 0 0 3; 32.18°, intensity 61, hkl 1 1 0; 38.54°, intensity 52, hkl 1 1 2; 38.82°, intensity 76, hkl 2 0 1; 43.03°, intensity 100, hkl 2 0 2; 66.79°, intensity 35, hkl 2 0 5; 67.32°, intensity 29, hkl 2 2 0; 76.05°, intensity 31, hkl 2 2 3



Entry 4:
# NbZn
Theoretical powder XRD pattern, λ = 1.5418 Å (Cu Kα). Input: a crystal structure in OQMD, relaxed with GGA-PBE.
Intensities are scaled so that the largest is 100.

Structural model:
```
data_NbZn
_cell_length_a 2.8437
_cell_length_b 2.8437
_cell_length_c 4.7873
_cell_angle_alpha 90.00
_cell_angle_beta 90.00
_cell_angle_gamma 120.00
_space_group_name_H-M_alt 'P -6 m 2'
_space_group_IT_number 187
_space_group_name_Hall 'P -6 2'
loop_
_atom_site_label
_atom_site_type_symbol
_atom_site_fract_x
_atom_site_fract_y
_atom_site_fract_z
Nb1 Nb 0.0000 0.0000 0.0000
Zn1 Zn 0.6667 0.3333 0.5000
```

Principal peaks in the range 2θ = 15–90°, by angle:

Request:
Now return only the lines further up with the word "Au1" in them.

Written answer:
Au1 Au 0.0000 0.5000 0.7500